Have seen 4 serials that can be called "cult" ones: "Thunder in Paradise", "Twin Peaks", "Interny", and this one - "Shkola". All these four are not just good, they are excellent. "Excellent" means this: when you watch them, you really feel for the characters, you really care, and you want the series to go on and on
"Shkola" has quite a few of interesting characters who behave in a most groovy, rowdy or stupid way. The present life is depicted in bawdy but realistic colours. Remember watching "Beverly Hills 90210" once, and of course the impression was radically different. If you like your cinema only cosy-rosy, soft, warm, romantic, smoothed-out, pathetic, and friendly in a childish innocent way, stay far away from this serial. You will be upset or even foam and faint in front of the TV-set. But if you enjoy rough, uncouth realism with the doltish true-to-life characters, who just happen to be all in one place, all in one movie, then this is for you. You don't have to wait long till one of the characters brings havoc or goes berserk: it happens every 10 minutes. A very smart move of the director was her use of mostly unknown actors. Actors with big names would have ruined the documentary feel of the reel. And truly enjoy the jerky camera handling and wild angles. Often the faces look so disproportional and uncomfortably ugly (sometimes it adds a hysterical effect to the action)...
It is to be viewed attentively and without long gaps (personally watched it almost every evening – usually a couple of parts at once). You will notice how the characters' lives are changing in strict accordance with their previous misdeeds. The effects of their own behaviour get into sight vividly. Don't know if it had been planned by the director beforehand – perhaps it just turned out like that in the final product (in one of Nelson Algren's books this phenomenon was explained). To me this topic is not something exotic. Being a teacher by first profession quite agree with those who say that in reality the things can get much worse than in this serial. Just one scene to back it up. In the movie the headmistress comes up to the "neo-Nazi" Bagira and tells her to quit smoking and leave the school. There are words shot from both sides. Just words. In reality in a similar situation in our school the female teacher (she was also the school manager) was punched in the face and had to lead classes with a big bruise under her eye.
Have read a few bad things about Valeriya Gay Germanika. Even if it's all true, it doesn't mean anything. Do happy, stylish, rich, and successful people need to make realistic movies that show human hearts agonizing in pain of the modern world? Very unlikely. They'd rather make "Smativai udochki", "Machete", and other blockbuster trash/remakes/etc.
It is not entertainment. And it never adds more scandal than needed. Rough sex is not shown. Blood sprays are not shown. There is no stupid and overused these days slow-mo. There are almost no taboo words. And no nakedness "to spice it up". If you are looking for this material, go get something like "Ken/South Park" or "MILF".
**Unrelated to this piece: calculated molecules:**
1.
A cluster of 2 separate species, H6OSi2 in total in a non-equilibrium geometry. Source: the Open Molecules 2025 dataset; level of theory: ωB97M-V/def2-TZVPD.

Each atom is followed by the atoms it is bonded to, with distances in Å.
Positions of all 9 atoms, in Å:
1 O 2.521 0.716 -0.034  H4 0.958
2 Si -1.434 0.353 -0.150  Si3 2.305, H5 1.475, H6 1.467, H7 1.464
3 Si 0.483 -0.918 -0.004  Si2 2.305, H8 1.461, H9 1.460
4 H 2.325 1.334 0.670  O1 0.958
5 H -2.580 -0.575 -0.087  Si2 1.475
6 H -1.593 1.298 0.961  Si2 1.467
7 H -1.553 1.081 -1.415  Si2 1.464
8 H 0.888 -1.606 1.219  Si3 1.461
9 H 0.943 -1.683 -1.159  Si3 1.460

Computed properties:
- ΔE to the lowest compared entry with this formula, charge and spin (kJ/mol) = 415.9
- total energy (hartree) = -657.68715


2.
A cluster of 36 separate species, H72O36 in total in a non-equilibrium geometry. Source: the Open Molecules 2025 dataset; level of theory: ωB97M-V/def2-TZVPD.

Each atom is followed by the atoms it is bonded to, with distances in Å.
Positions of all 108 atoms, in Å:
1 O -2.350 0.323 2.046  H2 0.957, H3 0.957
2 H -2.298 0.277 1.092  O1 0.957
3 H -1.826 -0.417 2.352  O1 0.957
4 O 2.672 -3.156 -1.850  H5 0.957, H6 0.957
5 H 3.271 -3.778 -2.264  O4 0.957
6 H 1.881 -3.190 -2.388  O4 0.957
7 O 0.616 -4.954 2.247  H8 0.957, H9 0.957
8 H -0.185 -4.546 2.578  O7 0.957
9 H 0.931 -4.351 1.575  O7 0.957
10 O 5.744 -0.865 2.178  H11 0.957, H12 0.957
11 H 5.215 -0.105 2.419  O10 0.957
12 H 5.823 -0.811 1.226  O10 0.957
13 O 2.339 -0.164 -3.793  H14 0.957, H15 0.957
14 H 3.188 -0.574 -3.956  O13 0.957
15 H 2.535 0.565 -3.204  O13 0.957
16 O -2.194 3.447 2.363  H17 0.957, H18 0.957
17 H -2.034 2.904 3.136  O16 0.957
18 H -3.029 3.132 2.018  O16 0.957
19 O -0.612 -0.929 -2.934  H20 0.957, H21 0.957
20 H -1.156 -0.153 -3.070  O19 0.957
21 H 0.287 -0.602 -2.980  O19 0.957
22 O -2.026 -3.978 -2.013  H23 0.957, H24 0.957
23 H -2.177 -4.907 -2.188  O22 0.957
24 H -2.658 -3.523 -2.570  O22 0.957
25 O 2.308 -2.371 4.839  H26 0.957, H27 0.957
26 H 2.746 -3.199 4.642  O25 0.957
27 H 1.375 -2.581 4.811  O25 0.957
28 O 2.823 3.431 1.327  H29 0.957, H30 0.957
29 H 3.204 4.258 1.624  O28 0.957
30 H 1.878 3.563 1.396  O28 0.957
31 O 0.008 3.394 0.990  H32 0.957, H33 0.957
32 H 0.072 2.496 0.665  O31 0.957
33 H -0.839 3.429 1.434  O31 0.957
34 O 0.356 0.746 0.082  H35 0.957, H36 0.957
35 H -0.444 0.259 -0.113  O34 0.957
36 H 0.832 0.190 0.699  O34 0.957
37 O -2.329 1.339 4.568  H38 0.957, H39 0.957
38 H -2.475 0.867 3.748  O37 0.957
39 H -3.087 1.119 5.109  O37 0.957
40 O 1.921 -0.363 1.882  H41 0.957, H42 0.957
41 H 1.526 -0.079 2.707  O40 0.957
42 H 2.830 -0.067 1.937  O40 0.957
43 O 3.684 0.059 4.973  H44 0.957, H45 0.957
44 H 3.301 -0.809 4.843  O43 0.957
45 H 3.046 0.523 5.516  O43 0.957
46 O 0.418 -3.289 -3.613  H47 0.957, H48 0.957
47 H -0.044 -4.121 -3.519  O46 0.957
48 H -0.071 -2.679 -3.061  O46 0.957
49 O -4.210 -1.235 -2.672  H50 0.957, H51 0.957
50 H -4.091 -0.904 -3.562  O49 0.957
And of course this movie is for adults only. And to know Russian is essential. To know very well that is.
[The entry is interrupted by calculated molecules]
No. 1
{"formula": "C19H22N4O3S", "method": "ωB97M-V/def2-TZVPD", "lumo_ev": 0.5, "homo_ev": -7.58, "de_lowest_kcal_mol": 83.6, "energy_ha": -1580.08714, "homo_lumo_gap_ev": 8.09, "largest_force_ev_per_a": 2.1, "smiles": "CCCN(C(=O)c1ccc(COC)o1)c1nc2c(s1)CCc1c-2cnn1C", "elements": ["C", "O", "H", "N", "C", "C", "H", "H", "S", "C", "H", "C", "C", "C", "H", "H", "H", "N", "C", "H", "H", "C", "C", "C", "H", "O", "O", "H", "H", "H", "H", "C", "C", "N", "H", "N", "H", "H", "H", "C", "C", "C", "H", "C", "H", "H", "C", "H", "C"], "positions_angstrom": [[1.14412, 2.84184, -1.70287], [-2.09060, 1.31295, -3.95846], [-1.50795, -3.02541, 2.14159], [-3.76954, 1.48317, 1.15889], [2.76895, 1.29454, -0.45097], [-0.03975, 2.65675, -2.46616], [-1.45065, 2.17039, -5.71677], [-0.66853, 3.43049, -2.87602], [1.47742, -1.66581, 2.13789], [1.59571, 1.59254, -1.33063], [5.34781, -3.03801, 0.81136], [4.03801, -0.49806, 0.80696], [4.18063, -1.58241, -0.30065], [-0.26326, 1.29969, -2.39796], [-2.18891, 0.54173, -2.10100], [-1.23265, -0.43171, -3.18840], [-3.40708, -2.24453, 3.09543], [0.48089, 0.45274, 1.05795], [-1.46000, 0.59550, -2.90844], [-1.83251, 0.42840, -5.81085], [-5.34568, 0.33689, 3.74431], [-5.31175, 0.27654, 2.65617], [-0.22017, -1.33625, 2.32085], [-2.61315, -1.48570, 3.27105], [4.19613, -1.13760, -1.28317], [0.71986, 0.63919, -1.77375], [3.84344, 1.82784, -0.69740], [5.45838, -3.23982, -0.96273], [3.98589, -0.94060, 1.82121], [-1.86115, 2.01968, 0.24578], [-0.32639, 0.99065, -5.05577], [5.39865, -2.51420, -0.14094], [-1.30217, -2.22140, 2.92183], [-3.98561, 0.52049, 2.10562], [-6.07112, 0.96495, 2.26390], [2.78556, 0.24581, 0.55232], [-5.56668, -0.74209, 2.33234], [-0.89545, -2.64495, 3.83859], [1.62919, 3.77828, -1.44710], [1.59880, -0.19371, 1.16055], [-2.45660, 1.37990, 0.89918], [-1.90542, 0.29258, 1.64671], [6.33181, -1.93691, -0.13518], [-0.54924, -0.19997, 1.66471], [4.91995, 0.14919, 0.78476], [-2.58040, -1.19870, 4.32726], [-2.90317, -0.27257, 2.40047], [3.30369, -2.19260, -0.25273], [-1.39931, 1.22032, -5.20975]], "atomic_forces_ev_per_a": [[1.0, -0.5, 0.1], [0.4, -0.1, -0.1], [0.2, 0.7, 1.2], [1.3, -0.6, 0.9], [1.7, -1.3, -0.3], [0.3, -0.9, 1.0], [-0.2, 0.3, -0.2], [-0.1, -0.3, -0.1], [-0.2, 0.4, -0.4], [-0.3, 1.0, 0.7], [0.0, -0.2, 0.0], [0.0, -0.4, -0.8], [0.8, -0.3, 0.9], [-0.4, 1.5, -1.0], [-0.2, 0.0, 0.0], [0.1, -0.2, -0.2], [0.2, 0.6, 0.6], [0.7, 0.3, -0.5], [-0.5, -0.3, -0.2], [-0.2, -0.1, -0.2], [0.3, 0.0, 0.0], [-0.3, -0.4, -0.7], [-0.8, -0.1, 0.1], [-1.2, -0.1, -0.3], [0.0, 0.5, -0.2], [0.2, 0.2, 0.5], [-1.1, -0.1, 0.4], [-0.1, 0.2, 0.3], [0.0, 0.2, -0.6], [-0.7, -0.1, 0.1], [-0.4, 0.1, 0.0], [0.0, 0.7, 0.0], [0.9, -0.3, -1.2], [-0.8, -0.6, 0.6], [0.6, -0.1, -0.1], [-1.0, 0.6, -0.2], [-0.4, 0.2, 0.3], [-0.3, -0.5, -0.1], [0.0, -0.3, -0.1], [-0.1, 0.3, -0.1], [-0.1, -1.0, 0.8], [0.3, 0.8, -0.8], [-0.1, -0.1, -0.1], [0.6, -0.2, 0.4], [-0.5, 0.2, 0.0], [-0.3, 0.0, -0.1], [0.8, 1.2, -1.1], [-0.8, -0.4, -0.1], [0.6, -0.4, 0.9]]}

***

No. 2
A very peculiar drama without even the slightest tint of glam but with bitter taste and dark atmosphere, not to everybody's liking to be sure, but quite monumental and groundbreaking. Give it a 9 out of 10. Thank you for attention.